[i]Alonfé walks down the hallways cloak drawn high. The crunch of ice is barely audible beneath his boots, and frost dots his cloak, with bits of snow. As he walks, frost spiders from his steps to the walls and ceiling, any fire in any nearby rooms go out, the air dropping far below zero in seconds. Lights flicker, some go out entirely for a few minutes. His irises are..... a cool blue. Not the usual light brown. He emits a strong aura, faint green waves rippling from his body to the air. The symbols on his cloak also glow an icy blue, they seem.... alive. Any passerbies feel their ears pop, and shiver. He walks steadily ahead, to nowhere though, aimlessly walking around the area, spreading frost and chills. His face looks troubled, in deep thought, carrying an incomprehensible look of weariness and strength, like he could kill a god but collapse any second.[/i]
I can see the cold favors you
[i]I look back, and shake my head, looking down.[/i] [b]"The cold, and everything else."[/b] [i]My voice is ancient and deep, like an old dragon or that of a mage beyond his years. [/i] [b]"Sorry if I broke anything, it's just... "[/b] [i]I trail off, lost in thought. The temperature drops lower, and the frost grows thicker on the walls and ceiling, the floor already covered.[/i]
It's alright. I can fix something if it breaks as long as it isn't too complicated
[i]Nods.[/i] [b]"This phase will peter out soon, anything unfixed I can fix myself. I don't know how to control this yet..."[/b] [i]I look down to my hands, glowing blue and radiating green.[/i] [b]"Triggered by intense flashes of emotion, or in times of great difficulty..."[/b] [i]I say the words as if from a book, then look up again.[/i] [b]"I can't help but wonder what they're doing to Python. I saw the others when they came back, and I...."[/b] [i]Tears fall from my eyes, freezing before they hit the ground. I clench my fists, and they freeze over, glowing blue. [/i]
Sound like you're a caring person
[i]Nods slightly[/i] [b]"I just want this family to be together again. I'll give my life for it too. I'll go and get Python by myself if I must. I'll e- ahhhh...."[/b] [i]The energy is sucked out of the air like a vacuum, and the aura about me disappear. I collapse, lying on the ground.[/i] Ahh..... I'm okay.... [i]Smiles weakly[/i]
It doesn't seem like you're okay
[i]I stand up weakly.[/i] I'm good, just... [i]Wobbles a bit[/i] I've sustained that form for two days. I don't know how to cancel it out, so I just decided to wait it out. I just need to... [i]Falls down, then lies in the middle of the hallway.[/i] Rest....
I can bring you to your room if you want
[i]I look up to you.[/i] Ah, I wouldn't want to burden you like that. [i]I attempt to get up, using the wall as support.[/i]
I have nothing to do anyways all I've been doing is bouncing around a tennis ball
[i]Nods, walking slowly[/i] Then yes, I'd appreciate the help
Edited by Forlorn Crow: 8/7/2015 8:18:33 PM*helps you walk* Now lead the way
[i]Points down the hallway.[/i] Just down there.... Then left.... Then it's the second to the right...
[b]A potato rolls out of a nearby room[/b]
[i]It freezes in place, ice gluing it to the spot. I walk by, unfazed.[/i]
"Aww that was my favorite potato" [b]a man says behind you[/b]
! BaAs2Cl | the Alexandria database | SCAN | PBEsol geometry; values from VASP
! **Polymorph energy (0 for the lowest one)**: 0.185 eV per atom
! **Spin magnetization**: 0.00 μB/cell
&SYSTEM
  ibrav = 0, nat = 8, ntyp = 3
/
ATOMIC_SPECIES
Ba 137.33 Ba.upf
As 74.92 As.upf
Cl 35.45 Cl.upf
CELL_PARAMETERS angstrom
4.176 0.000 0.000
0.000 4.176 0.000
-2.088 -2.088 13.041
ATOMIC_POSITIONS crystal
Ba 0.000 0.000 0.000
As 0.451 0.375 0.250
As 0.125 0.549 0.750
As 0.625 0.201 0.750
As 0.799 0.875 0.250
Ba 0.250 0.750 0.500
Cl 0.500 0.500 0.000
Cl 0.750 0.250 0.500

----------

# 1
Here is a geometry-optimized BaPtCl2 structure from Alexandria. Energies are from GGA-PBE.

It has space group F-43m (No. 216), with a = 7.3788 Å, b = 7.3788 Å, c = 7.3788 Å, α = 90.00°, β = 90.00° and γ = 90.00°. The inequivalent atoms are Ba at (0.0000, 0.0000, 0.0000), Pt at (0.2500, 0.2500, 0.7500), Cl at (0.0000, 0.0000, 0.5000) and Cl at (0.2500, 0.2500, 0.2500).

As for the polymorph energy (0 for the lowest one): 650 meV/atom. The size of the total moment comes out at 0.000 μB/atom. As for the uncorrected formation energy: -0.664 eV/atom. The volume is 100.4 Å³/f.u.

---

# 2
Here is a geometry-optimized BaPtCl2 structure from Alexandria. Energies are from GGA-PBE.

It has space group P2/m (No. 10), with a = 5.0157 Å, b = 4.3425 Å, c = 5.0449 Å, α = 90.00°, β = 97.09° and γ = 90.00°. The inequivalent atoms are Ba at (0.0000, 0.0000, 0.0000), Pt at (0.5000, 0.0000, 0.5000) and Cl at (0.2938, 0.5000, 0.7071).

As for the polymorph energy (0 for the lowest one): 350 meV/atom. The size of the total moment comes out at 0.000 μB/atom. As for the uncorrected formation energy: -0.964 eV/atom. The volume is 109.0 Å³/f.u.

---

# 3
Here is a geometry-optimized BaPt2Cl8 structure from Alexandria. Energies are from GGA-PBE.

It has space group C2/m (No. 12), with a = 12.6780 Å, b = 10.3894 Å, c = 4.8312 Å, α = 90.00°, β = 112.32° and γ = 90.00°. The inequivalent atoms are Ba at (0.0000, 0.0000, 0.0000), Pt at (0.1140, 0.5000, 0.1149), Cl at (0.1320, 0.2785, 0.1331), Cl at (0.1479, 0.5000, 0.6490) and Cl at (0.1656, 0.0000, 0.6651).

The size of the total moment comes out at 0.048 μB/atom. As for the uncorrected formation energy: -0.803 eV/atom. The volume is 294.3 Å³/f.u.

---

# 4
Here is a geometry-optimized BaPtCl4 structure from Alexandria. Energies are from GGA-PBE.

It has space group I-4 (No. 82), with a = 7.1349 Å, b = 7.1349 Å, c = 7.8855 Å, α = 90.00°, β = 90.00° and γ = 90.00°. The inequivalent atoms are Ba at (0.0000, 0.0000, 0.0000), Pt at (0.0000, 0.5000, 0.7500) and Cl at (0.2294, 0.7309, 0.7493).

As for the polymorph energy (0 for the lowest one): 0 meV/atom. The size of the total moment comes out at 0.000 μB/atom. As for the uncorrected formation energy: -1.456 eV/atom. The volume is 200.7 Å³/f.u.

---

# 5
Here is a geometry-optimized Ba4PtCl5 structure from Alexandria. Energies are from GGA-PBE.
[i]I look back, and the wall behind you starts to freeze over. I smile softly, the grin being the only thing warm about me. The air is chilled near me, far below zero.[/i] [b]"Ah, sorry my friend. I can, uh, fix it? Just hand me some soil..."[/b] [i]My voice is ancient and deep, like that of an old dragon or wise man.[/i]
"Sure one sec" [b]I walk back into my room and come out with some dirt[/b]"there ya go"
[i]I take some soil in my hand, then the potato. The soil seems to grow, become fertile, and envelopes the potato. My eyes change from cool blue to an earthly green, and the soil solidifies. With a crack, the soil gives way, revealing a new potato. I hand it over, panting. The aura about me is gone. And the power with it. I smile weakly between breathes[/i] Ha...... there ya go...... [i]I collapse[/i] I'm good......
"Woah are you OK?"
[i]I nod[/i] I've sustained that form for two days, don't know how to cancel it out. I just waited it out. [i]Gets up feebly.[/i] I.... I need to rest... [i]Falls down again.[/i]
"You can use my room" [b]as I help you up[/b]
[i]I accept the help, cooperating.[/i] Ah.... thank you...
[b]I set you down on a bed[/b]